Work order:
Set down the part of the calculation results further below that starts with the line with "0.178 0.571" and stops after the one with "0.343 0.982".

Contents:
YbH3CN3 | meta-GGA r2SCAN | optimized geometry

```
YbH3CN3
1.0
5.2206 0.0000 0.0000
-2.6103 4.5212 0.0000
0.0000 0.0000 6.6727
Yb H C N
2 6 2 6
direct
0.0000 0.0000 0.0000
0.0000 0.0000 0.5000
0.0749 0.6392 0.2500
0.3608 0.4357 0.2500
0.4357 0.0749 0.7500
0.5643 0.9251 0.2500
0.6392 0.5643 0.7500
0.9251 0.3608 0.7500
0.3333 0.6667 0.7500
0.6667 0.3333 0.2500
0.1299 0.3736 0.7500
0.2437 0.8701 0.7500
0.3736 0.2437 0.2500
0.6264 0.7563 0.7500
0.7563 0.1299 0.2500
0.8701 0.6264 0.2500
```

## Properties
Crystal system   hexagonal
DFT total energy   -11.0300 eV/atom
Spin magnetization   0.00 μB per atom
Symmetry   P6_3/m, No. 176

=====

Here is a relaxed H32WC8N4Cl7 crystal from the Materials Project database. Energies are from PBE.

Summary:
Crystal system: orthorhombic
SG: P2_12_12 (18)
Energy (eV per cell): -520.09
Calculated volume (Å³ per atom): 11.52
Formation energy (eV/atom): -0.4366

a = 10.302 Å, b = 13.194 Å, c = 8.816 Å
α = 90.00°, β = 90.00°, γ = 90.00°
Element x y z (fractional)
H 0.016 0.153 0.323
H 0.035 0.153 0.605
H 0.077 0.602 0.112
H 0.090 0.943 0.617
H 0.108 0.826 0.715
H 0.108 0.943 0.332
H 0.124 0.740 0.479
H 0.140 0.826 0.238
H 0.157 0.482 0.100
H 0.163 0.745 0.954
H 0.175 0.058 0.049
H 0.178 0.571 0.865
H 0.180 0.229 0.962
H 0.199 0.223 0.164
H 0.234 0.585 0.195
H 0.235 0.832 0.490
H 0.265 0.332 0.510
H 0.266 0.085 0.805
H 0.301 0.723 0.836
H 0.320 0.729 0.038
H 0.322 0.071 0.135
H 0.325 0.558 0.951
H 0.337 0.245 0.046
H 0.343 0.982 0.900
H 0.360 0.326 0.762
H 0.376 0.240 0.521
H 0.392 0.326 0.285
H 0.392 0.443 0.668
H 0.410 0.443 0.383
H 0.423 0.102 0.888
H 0.465 0.653 0.395
H 0.484 0.653 0.677
H 0.516 0.347 0.677
H 0.535 0.347 0.395
H 0.577 0.898 0.888
H 0.590 0.557 0.383
H 0.608 0.557 0.668
H 0.608 0.674 0.285
H 0.624 0.760 0.521
H 0.640 0.674 0.762
H 0.657 0.018 0.900
H 0.663 0.755 0.046
H 0.675 0.442 0.951
H 0.678 0.929 0.135
H 0.680 0.271 0.038
H 0.699 0.277 0.836
H 0.734 0.915 0.805
H 0.735 0.668 0.510
H 0.765 0.168 0.490
H 0.766 0.415 0.195
H 0.801 0.777 0.164
H 0.820 0.771 0.962
H 0.822 0.429 0.865
H 0.825 0.942 0.049
H 0.837 0.255 0.954
H 0.843 0.518 0.100
H 0.860 0.174 0.238
H 0.876 0.260 0.479
H 0.892 0.057 0.332
H 0.892 0.174 0.715
H 0.910 0.057 0.617
H 0.923 0.398 0.112
H 0.965 0.847 0.605
H 0.984 0.847 0.323
W 0.000 0.500 0.578
W 0.500 0.000 0.422
C 0.070 0.862 0.614
C 0.088 0.862 0.332
C 0.171 0.564 0.101
C 0.244 0.206 0.055
C 0.256 0.706 0.945
C 0.329 0.064 0.899
C 0.412 0.362 0.668
C 0.430 0.362 0.386
C 0.570 0.638 0.386
C 0.588 0.638 0.668
C 0.671 0.936 0.899
C 0.744 0.294 0.945
C 0.756 0.794 0.055
C 0.829 0.436 0.101
C 0.912 0.138 0.332
C 0.930 0.138 0.614
N 0.135 0.818 0.478
N 0.234 0.595 0.956
N 0.266 0.095 0.044
N 0.365 0.318 0.522
N 0.635 0.682 0.522
N 0.734 0.905 0.044
N 0.766 0.405 0.956
N 0.865 0.182 0.478
Cl 0.000 0.000 0.993
Cl 0.073 0.384 0.778
Cl 0.079 0.375 0.388
Cl 0.213 0.586 0.569
Cl 0.287 0.086 0.431
Cl 0.421 0.875 0.612
Cl 0.427 0.884 0.222
Cl 0.500 0.500 0.007
Cl 0.573 0.116 0.222
Cl 0.579 0.125 0.612
Cl 0.713 0.914 0.431
Cl 0.787 0.414 0.569
Cl 0.921 0.625 0.388
Cl 0.927 0.616 0.778

Here is a relaxed BC12ClF10 crystal from the Materials Project database. Energies are from PBE.

Summary:
Crystal system: monoclinic
SG: P2_1/c (14)
Energy (eV per cell): -624.30
Calculated volume (Å³ per atom): 14.30
Formation energy (eV/atom): -0.9283

a = 14.759 Å, b = 6.496 Å, c = 16.982 Å
α = 90.00°, β = 122.54°, γ = 90.00°
Element x y z (fractional)
B 0.249 0.227 0.186
B 0.249 0.273 0.686
B 0.751 0.727 0.314
B 0.751 0.773 0.814
C 0.002 0.711 0.657
C 0.002 0.789 0.157
C 0.029 0.022 0.889
C 0.029 0.478 0.389
C 0.049 0.112 0.118
C 0.049 0.388 0.618
C 0.110 0.737 0.209
C 0.110 0.763 0.709
C 0.160 0.070 0.172
C 0.160 0.430 0.672
C 0.186 0.624 0.715
C 0.186 0.876 0.215
C 0.361 0.249 0.781
C 0.361 0.251 0.281
C 0.372 0.229 0.367
C 0.372 0.271 0.867
C 0.438 0.704 0.545
C 0.438 0.796 0.045
C 0.444 0.679 0.629
C 0.444 0.821 0.129
C 0.458 0.201 0.786
C 0.458 0.299 0.286
C 0.468 0.249 0.953

Reply:
H 0.178 0.571 0.865
H 0.180 0.229 0.962
H 0.199 0.223 0.164
H 0.234 0.585 0.195
H 0.235 0.832 0.490
H 0.265 0.332 0.510
H 0.266 0.085 0.805
H 0.301 0.723 0.836
H 0.320 0.729 0.038
H 0.322 0.071 0.135
H 0.325 0.558 0.951
H 0.337 0.245 0.046
H 0.343 0.982 0.900